Daylight saving time Is Bad For You

Am I Boring You?
Am I Boring You?

I’m firmly in the camp of One Time per Time Zone Per Year. In other words, drop the whole Daylight Savings bullshit introduced by the Kaiser1 , and keep the time the same all damn year long. So what if it gets light later, or dark earlier. Most of us have electricity by now, and access to coffee, we can artificially create light, and wake our lazy asses out of bed when we need to. 

Aside from getting one less hour of sleep on Sunday and getting more light in the evening, daylight saving time doesn’t affect me, does it?

Actually, it may have a more averse effect than it seems. A study done by Dr Amneet Sandhu, a cardiology fellow at the University of Colorado in Denver, shows that on the Monday immediately after daylight saving time heart attacks increase by 25 per cent, Reuters reported.

### Misplaced calculated crystals
[1]
Here is a geometry-optimized GdBiO2 structure from Alexandria. Energies are from PBE-GGA.

abc: 3.850 3.850 6.878
angles: 73.75 73.75 60.00
Each line ends with the local moment (μB).
Fractional positions:
Gd (0.000, 0.000, 0.000)  7.00
Bi (0.500, 0.500, 0.500)  -0.03
O (0.112, 0.112, 0.664)  0.01
O (0.888, 0.888, 0.336)  0.01

## Properties
**Density of states at the Fermi level**: 0.417 states/eV/atom
**Total moment**: 7.1 μB/cell
**Space-group type**: No. 166

=====

[2]
Here is a geometry-optimized Gd2BiO structure from Alexandria. Energies are from PBE-GGA.

abc: 3.312 3.312 7.790
angles: 90.00 90.00 90.00
Each line ends with the local moment (μB).
Fractional positions:
Gd (0.000, 0.000, 0.803)  7.26
Gd (0.000, 0.000, 0.197)  7.26
Bi (0.500, 0.500, 0.500)  -0.09
O (0.500, 0.500, 0.000)  -0.04

## Properties
**Energy relative to the lowest polymorph listed for this composition**: 1.90 eV/f.u.
**Density of states at the Fermi level**: 1.263 states/eV/atom
**Total moment**: 14.9 μB/cell
**Space-group type**: No. 123

=====

Number 1: raw formation energy -1.441 eV per atom. Number 2: raw formation energy -1.133 eV per atom.

On the Monday after daylight saving time ends, heart attacks fall by 21 per cent. Dr Sandhu said the loss of sleep is the likely culprit of the increase of heart attacks seen after the clocks move forward, so make sure you get plenty of sleep on Sunday.

(click here to continue reading Daylight saving time: Why moving the clock forward increases risk of heart attacks – Americas – World – The Independent.)

Time is out of Focus
Time is out of Focus

Accuracy is Overrated
Accuracy is Overrated

  1. Germany and Austria-Hungary organized the first implementation, starting on 30 April 1916. []

Confluence of Events

New Coil
New Coil

Saturday night our air conditioner failed. After a few sleepless nights filled with lots of tossing and turning and rearranging fans to create cross breezes, we got a new 4-ton A/C  with matching indoor cooling coil that accepts Puron aka R-410A1. Also our copper lineset between indoor and outdoor coils had to be replaced – or repaired, but easier to just replace. The furnace that the A/C is connected to is located about 6 feet from my office – where I’m sitting now – so the last few days have been disruptive.

Since the universe decided that cutting sheet metal in my ear was not enough of a distraction, our internet service went out on Tuesday, and is still wonky. We have resumed some connectivity as of last night, but we are connecting at near dialup speeds. I’m not kidding – I checked via a couple of those internet speed tests, and my desktop was reaching maximum 47kbps upload/download.  I’m old enough to remember 56kbps being a decent enough connecting speed, but that era ended long ago. These days connecting so slowly is torture. Especially when there was a spate of large system software updates, plus an Apple keynote video I wanted to watch.  

Anyway, there is apparently some problem with a pair bonded circuit. AT&T has come twice, as they provide service up to the basement of our building, and we’ve spent many hours on tech support with XO Communications.

Soon, I”ll be able to get back to my daily routine. I glanced at my email inbox, and there are over 200 emails in there waiting for me to glance at them, or godz forbid, respond to. 

On the bright side, our new air conditioner is running, and looks like just in time, per Tom Skilling’s forecast:

Weather forecast 2012 06 14 at 11 24 46 AM
Weather forecast 2012-06-14 at 11.24.46 AM.PNG

sigh, internet down again.

  1. the government-mandated replacement for freon []